~~~
# C33H35BrMoN8O6PS

C33H35BrMoN8O6PS as an isolated structure in a non-equilibrium geometry (ωB97M-V/def2-TZVPD, the OMol25 dataset).

Geometry as XYZ:
```
86
Properties=species:S:1:pos:R:3:lowdin_charge:R:1
Mo 0.311 0.063 -0.121 1.6793
S 1.092 -1.640 -1.744 0.6420
C 0.637 -0.349 -2.843 -0.7260
C 0.951 -0.272 -4.200 -0.0664
C 0.613 0.869 -4.892 -0.0425
C -0.037 1.920 -4.239 -0.0494
C -0.334 1.769 -2.907 -0.1072
N -0.022 0.653 -2.240 -0.1298
H 1.469 -1.095 -4.672 0.1140
H 0.863 0.958 -5.942 0.1177
H -0.296 2.833 -4.755 0.1105
H -0.852 2.540 -2.349 0.1188
Br -1.912 -7.099 6.484 0.7628
C -0.851 -5.551 6.658 -0.6989
C 0.036 -5.215 5.643 -0.1159
C 0.801 -4.068 5.759 -0.0301
C 0.685 -3.267 6.889 -0.2672
C -0.155 -3.645 7.919 -0.0243
C -0.950 -4.778 7.800 -0.1130
N 1.514 -2.099 7.148 0.0906
N 1.802 -1.258 6.291 0.0790
C 1.040 -1.076 5.068 -0.2162
C -0.322 -1.045 4.997 0.0031
C -1.014 -0.823 3.779 0.0366
C -0.294 -0.604 2.643 -0.3158
O -0.778 -0.502 1.407 -0.2883
C 1.112 -0.579 2.718 -0.1423
N 1.724 -0.380 1.510 0.0047
C 3.034 -0.460 1.453 -0.0757
C 3.817 -0.695 2.602 -0.0100
C 3.218 -0.856 3.817 0.0381
C 1.803 -0.810 3.905 -0.0900
H 0.125 -5.847 4.770 0.1037
H 1.514 -3.821 4.983 0.1168
H -0.199 -3.033 8.812 0.1196
H -1.632 -5.058 8.590 0.1064
H -0.893 -1.200 5.903 0.1255
H -2.095 -0.835 3.747 0.1164
H 3.484 -0.333 0.477 0.1194
H 4.892 -0.744 2.499 0.1175
H 3.803 -1.032 4.710 0.1247
O -0.026 1.948 0.937 -0.0961
C 0.694 2.946 1.067 -0.1186
C 1.977 3.144 0.474 -0.1110
C 2.667 4.334 0.761 0.0654
C 3.887 4.538 0.194 -0.1305
C 4.460 3.601 -0.674 0.0397
C 3.797 2.439 -0.970 0.0326
C 2.539 2.173 -0.387 -0.3024
O 1.945 1.052 -0.675 -0.2858
N 4.620 5.783 0.494 -0.3555
O 4.065 6.601 1.195 0.0909
O 5.730 5.896 0.022 0.0952
H 0.317 3.749 1.715 0.1507
H 2.246 5.083 1.420 0.1375
H 5.429 3.816 -1.104 0.1308
H 4.219 1.705 -1.642 0.1313
C -2.321 -3.243 0.721 -0.0746
N -3.264 -2.558 -0.155 -0.2835
C -4.558 -3.218 -0.266 -0.0841
P -3.030 -1.011 -0.632 0.5377
O -1.571 -0.785 -0.925 -0.4438
N -3.608 0.036 0.480 -0.3022
C -3.345 1.459 0.321 -0.0886
C -4.563 -0.297 1.520 -0.0806
N -3.870 -0.759 -2.017 -0.2938
C -5.240 -0.271 -2.063 -0.0927
C -3.440 -1.465 -3.222 -0.0807
H -2.205 -4.274 0.381 0.0935
H -2.673 -3.261 1.759 0.0896
H -1.354 -2.754 0.683 0.0598
H -4.420 -4.229 -0.652 0.0941
H -5.212 -2.681 -0.949 0.0686
H -5.059 -3.294 0.704 0.0840
H -2.689 1.627 -0.533 0.0677
H -2.855 1.855 1.214 0.0850
H -4.273 2.013 0.152 0.0913
H -4.607 -1.372 1.670 0.0660
H -5.569 0.065 1.283 0.0876
H -4.256 0.163 2.462 0.0873
H -5.543 0.120 -1.094 0.0684
H -5.936 -1.066 -2.350 0.0838
H -5.329 0.532 -2.797 0.0920
H -2.423 -1.832 -3.101 0.0771
H -3.461 -0.786 -4.077 0.0901
H -4.100 -2.312 -3.435 0.0884
```

Its multiplicity is 3. The HOMO energy (alpha / beta) is -0.37108 / -0.37803 hartree. The max |F| is 1.6 eV/A. For the energy above the lowest of the compared OMol25 structures with the same formula, charge and spin, the calculation gives 18.3 kcal/mol. The charge is +1. The value obtained for the lowest unoccupied orbital energy (alpha / beta) is -3.41 / -3.82 eV. For the total energy, the calculation gives -151012.239 eV. The frontier orbital gap (alpha / beta) is 6.7 / 6.5 eV.



# C4H6N2

One molecule with the formula C4H6N2 in a non-equilibrium geometry (ωB97M-V/def2-TZVPD, the OMol25 dataset).

Geometry as XYZ:
```
12
Properties=species:S:1:pos:R:3:nbo_charge:R:1
C 0.251 -0.052 0.687 0.2689
C 0.742 -0.615 -0.416 -0.3841
C 0.008 -0.022 -1.541 -0.2780
C -0.893 0.777 -0.971 -0.1093
H -0.037 -1.311 2.117 0.3732
H 1.695 -0.584 1.958 0.3750
H 1.488 -1.392 -0.759 0.2398
H 0.216 0.201 -2.812 0.2326
H -1.900 1.090 -1.517 0.2105
H -1.396 1.414 0.812 0.4291
N 0.545 -0.335 2.011 -0.8110
N -0.720 0.830 0.430 -0.5467
```
~~~
Write out the contents further up without altering anything.
# C33H35BrMoN8O6PS

C33H35BrMoN8O6PS as an isolated structure in a non-equilibrium geometry (ωB97M-V/def2-TZVPD, the OMol25 dataset).

Geometry as XYZ:
```
86
Properties=species:S:1:pos:R:3:lowdin_charge:R:1
Mo 0.311 0.063 -0.121 1.6793
S 1.092 -1.640 -1.744 0.6420
C 0.637 -0.349 -2.843 -0.7260
C 0.951 -0.272 -4.200 -0.0664
C 0.613 0.869 -4.892 -0.0425
C -0.037 1.920 -4.239 -0.0494
C -0.334 1.769 -2.907 -0.1072
N -0.022 0.653 -2.240 -0.1298
H 1.469 -1.095 -4.672 0.1140
H 0.863 0.958 -5.942 0.1177
H -0.296 2.833 -4.755 0.1105
H -0.852 2.540 -2.349 0.1188
Br -1.912 -7.099 6.484 0.7628
C -0.851 -5.551 6.658 -0.6989
C 0.036 -5.215 5.643 -0.1159
C 0.801 -4.068 5.759 -0.0301
C 0.685 -3.267 6.889 -0.2672
C -0.155 -3.645 7.919 -0.0243
C -0.950 -4.778 7.800 -0.1130
N 1.514 -2.099 7.148 0.0906
N 1.802 -1.258 6.291 0.0790
C 1.040 -1.076 5.068 -0.2162
C -0.322 -1.045 4.997 0.0031
C -1.014 -0.823 3.779 0.0366
C -0.294 -0.604 2.643 -0.3158
O -0.778 -0.502 1.407 -0.2883
C 1.112 -0.579 2.718 -0.1423
N 1.724 -0.380 1.510 0.0047
C 3.034 -0.460 1.453 -0.0757
C 3.817 -0.695 2.602 -0.0100
C 3.218 -0.856 3.817 0.0381
C 1.803 -0.810 3.905 -0.0900
H 0.125 -5.847 4.770 0.1037
H 1.514 -3.821 4.983 0.1168
H -0.199 -3.033 8.812 0.1196
H -1.632 -5.058 8.590 0.1064
H -0.893 -1.200 5.903 0.1255
H -2.095 -0.835 3.747 0.1164
H 3.484 -0.333 0.477 0.1194
H 4.892 -0.744 2.499 0.1175
H 3.803 -1.032 4.710 0.1247
O -0.026 1.948 0.937 -0.0961
C 0.694 2.946 1.067 -0.1186
C 1.977 3.144 0.474 -0.1110
C 2.667 4.334 0.761 0.0654
C 3.887 4.538 0.194 -0.1305
C 4.460 3.601 -0.674 0.0397
C 3.797 2.439 -0.970 0.0326
C 2.539 2.173 -0.387 -0.3024
O 1.945 1.052 -0.675 -0.2858
N 4.620 5.783 0.494 -0.3555
O 4.065 6.601 1.195 0.0909
O 5.730 5.896 0.022 0.0952
H 0.317 3.749 1.715 0.1507
H 2.246 5.083 1.420 0.1375
H 5.429 3.816 -1.104 0.1308
H 4.219 1.705 -1.642 0.1313
C -2.321 -3.243 0.721 -0.0746
N -3.264 -2.558 -0.155 -0.2835
C -4.558 -3.218 -0.266 -0.0841
P -3.030 -1.011 -0.632 0.5377
O -1.571 -0.785 -0.925 -0.4438
N -3.608 0.036 0.480 -0.3022
C -3.345 1.459 0.321 -0.0886
C -4.563 -0.297 1.520 -0.0806
N -3.870 -0.759 -2.017 -0.2938
C -5.240 -0.271 -2.063 -0.0927
C -3.440 -1.465 -3.222 -0.0807
H -2.205 -4.274 0.381 0.0935
H -2.673 -3.261 1.759 0.0896
H -1.354 -2.754 0.683 0.0598
H -4.420 -4.229 -0.652 0.0941
H -5.212 -2.681 -0.949 0.0686
H -5.059 -3.294 0.704 0.0840
H -2.689 1.627 -0.533 0.0677
H -2.855 1.855 1.214 0.0850
H -4.273 2.013 0.152 0.0913
H -4.607 -1.372 1.670 0.0660
H -5.569 0.065 1.283 0.0876
H -4.256 0.163 2.462 0.0873
H -5.543 0.120 -1.094 0.0684
H -5.936 -1.066 -2.350 0.0838
H -5.329 0.532 -2.797 0.0920
H -2.423 -1.832 -3.101 0.0771
H -3.461 -0.786 -4.077 0.0901
H -4.100 -2.312 -3.435 0.0884
```

Its multiplicity is 3. The HOMO energy (alpha / beta) is -0.37108 / -0.37803 hartree. The max |F| is 1.6 eV/A. For the energy above the lowest of the compared OMol25 structures with the same formula, charge and spin, the calculation gives 18.3 kcal/mol. The charge is +1. The value obtained for the lowest unoccupied orbital energy (alpha / beta) is -3.41 / -3.82 eV. For the total energy, the calculation gives -151012.239 eV. The frontier orbital gap (alpha / beta) is 6.7 / 6.5 eV.



# C4H6N2

One molecule with the formula C4H6N2 in a non-equilibrium geometry (ωB97M-V/def2-TZVPD, the OMol25 dataset).

Geometry as XYZ:
```
12
Properties=species:S:1:pos:R:3:nbo_charge:R:1
C 0.251 -0.052 0.687 0.2689
C 0.742 -0.615 -0.416 -0.3841
C 0.008 -0.022 -1.541 -0.2780
C -0.893 0.777 -0.971 -0.1093
H -0.037 -1.311 2.117 0.3732
H 1.695 -0.584 1.958 0.3750
H 1.488 -1.392 -0.759 0.2398
H 0.216 0.201 -2.812 0.2326
H -1.900 1.090 -1.517 0.2105
H -1.396 1.414 0.812 0.4291
N 0.545 -0.335 2.011 -0.8110
N -0.720 0.830 0.430 -0.5467
```